## Assignment
Search the entries underneath for the word "H10" and print each line that has it.
## File
~~~
# 1
Below is an isolated ion of composition C6H6N3O3 and charge -1, with properties calculated with wB97M-V/def2-TZVPD.

Last columns: bonded neighbours and bond lengths (Å).
Positions of all 18 atoms, in Å:
1 H 1.95332 0.08950 -2.50339  C3 1.131
2 O -0.65116 -1.37331 2.25141  C5 1.387, C17 1.375
3 C 1.90066 0.69724 -1.55109  H1 1.131, H6 1.114, H8 1.058, C16 1.522
4 H -1.33044 -1.22601 -0.58525  C9 1.068
5 C -1.73000 -0.93959 1.49455  O2 1.387, C9 1.474, O15 1.203
6 H 2.87202 0.77657 -1.01204  C3 1.114
7 H -2.30878 0.20303 -0.09670  C9 1.110
8 H 1.41103 1.60848 -1.77162  C3 1.058
9 C -1.43925 -0.44555 0.13633  H4 1.068, C5 1.474, H7 1.110, C12 1.506
10 N 0.92926 -1.82832 0.68261  N14 1.272, C17 1.248
11 H 0.32120 2.25062 0.01480  N13 0.963
12 C -0.22020 0.38247 -0.17449  C9 1.506, N13 1.302, C16 1.401
13 N -0.43057 1.64993 0.03883  H11 0.963, C12 1.302, O18 1.286
14 N 1.47185 -1.37119 -0.37306  N10 1.272, C16 1.362
15 O -2.77457 -0.92389 2.09049  C5 1.203
16 C 0.97056 -0.14493 -0.69037  C3 1.522, C12 1.401, N14 1.362
17 C 0.65605 -1.57057 1.87288  O2 1.375, N10 1.248
18 O -1.60096 2.16552 0.17613  N13 1.286

Results
- ΔE to the lowest compared entry with this formula, charge and spin (kcal/mol) = 150.6
- HOMO-LUMO gap (alpha / beta) (eV) = 6.2392 / 6.2972
- total charge = -1
- energy (Ha) = -622.06074

# 2
Below is a 2-piece molecular cluster, C4H6Br2O overall, with properties calculated with wB97M-V/def2-TZVPD.

Last columns: bonded neighbours and bond lengths (Å).
Positions of all 13 atoms, in Å:
1 Br -1.64353 1.39245 -0.68320  C6 1.939
2 H 1.69201 0.68974 -1.17562  C3 1.098
3 C 0.82527 0.02232 -1.27099  H2 1.098, C6 1.541, H7 1.108, H9 1.110
4 O -0.58451 -2.65308 -0.08614  C5 1.177
5 C -1.24938 -1.72794 0.20836  O4 1.177, H12 1.100
6 C -0.11563 0.35348 -0.09604  Br1 1.939, C3 1.541, C8 1.453
7 H 0.25356 -0.03820 -2.21833  C3 1.108
8 C 0.51064 1.03294 1.02464  C6 1.453, H10 1.169, Br11 2.022, H13 1.193
9 H 1.24778 -0.99728 -1.14930  C3 1.110
10 H 1.59060 0.76376 1.38124  C8 1.169
11 Br -0.59962 0.47471 2.62024  C8 2.022
12 H -2.31180 -1.53195 0.41674  C5 1.100
13 H 0.38460 2.21906 1.02839  C8 1.193

Results
- ΔE to the lowest compared entry with this formula, charge and spin (kcal/mol) = 75.4
- HOMO-LUMO gap (alpha / beta) (eV) = 8.1743 / 8.1687
- energy (Ha) = -5379.15607

Question: What is the energy in the second record?
Answer: -5379.15607 Ha

=====

[1]
Molecular formula: C25H29N3O8
Method: DFT, ωB97M-V with the def2-TZVPD basis set

```
! RIJCOSX wB97M-V def2-TZVPD def2/J DEFGRID3
* xyz 0 1
C 0.11975 2.95260 5.38806
H -0.75647 2.44934 5.80881
O 0.35971 2.54908 4.06183
C 0.62056 1.23316 3.82325
C 0.68027 0.25263 4.80004
C 0.95779 -1.06813 4.44263
C 1.18210 -1.41040 3.11749
C 1.12117 -0.41734 2.14403
C 0.83830 0.89494 2.48855
H 0.77984 1.66495 1.73676
N 1.34507 -0.68895 0.78702
C 1.53213 -1.88565 0.18541
O 1.57254 -2.96501 0.73503
C 1.72178 -1.76943 -1.33477
N 0.84391 -0.78850 -1.93423
C 1.42521 0.38865 -2.35065
O 2.63249 0.52660 -2.36770
N 0.56971 1.39457 -2.75092
C -0.80864 1.29070 -2.87651
O -1.47519 2.24451 -3.22698
C -1.34631 -0.01623 -2.53195
C -0.51893 -1.01081 -2.00402
C -1.10447 -2.19610 -1.57493
C -2.47148 -2.42762 -1.69022
C -3.30236 -1.42802 -2.25639
C -2.71909 -0.24151 -2.64894
H -3.30010 0.56716 -3.06100
O -4.64186 -1.68348 -2.38043
C -5.46358 -0.68283 -2.93342
H -5.16810 -0.44148 -3.95879
H -6.46781 -1.10401 -2.93588
H -5.45269 0.22745 -2.32675
O -2.85074 -3.63895 -1.22789
C -4.20219 -4.04672 -1.19996
H -4.81265 -3.37818 -0.59056
H -4.18521 -5.03793 -0.74746
H -4.62609 -4.11053 -2.20353
H -0.52845 -2.98585 -1.12394
C 1.15132 2.72409 -2.78600
H 2.18979 2.62858 -3.10449
H 0.58314 3.33706 -3.48509
C 1.06394 3.31660 -1.36250
H 0.00953 3.50588 -1.13467
O 1.51338 2.37220 -0.40259
C 2.87138 2.66305 -0.11628
H 3.10906 2.21030 0.84710
C 2.94651 4.18884 -0.11247
H 3.95085 4.55287 -0.31325
H 2.61745 4.56864 0.85487
C 1.94418 4.57242 -1.20837
H 1.35140 5.44103 -0.93114
H 2.45309 4.78834 -2.14720
~~~
## Outcome
8 C 0.51064 1.03294 1.02464  C6 1.453, H10 1.169, Br11 2.022, H13 1.193